Wanted:
Reproduce only the lines further below with the word "entry" in them.

Material:
Entry 1:
Computed, not measured: a molecular structure, C27H35ClN2O2OsSi, with ωB97M-V/def2-TZVPD.

Element x y z (Å)
Os: 0.9479 0.2775 0.1036
O: 4.1036 -1.8287 -1.7916
C: 3.0798 -1.7415 -1.1464
O: 2.6307 -0.6071 -0.6822
C: 2.3456 -3.0052 -0.7546
C: 0.9761 -3.0590 -0.5383
C: 0.3712 -4.2363 -0.1188
C: 1.1417 -5.3702 0.0969
C: 2.5102 -5.3284 -0.1345
C: 3.1060 -4.1555 -0.5696
H: 0.3572 -2.1814 -0.7356
H: -0.6994 -4.2725 0.0328
H: 0.6741 -6.2871 0.4318
H: 3.1114 -6.2163 0.0136
H: 4.1682 -4.1062 -0.7696
N: 1.0042 1.9293 -0.2641
C: 1.6389 3.1277 -0.5740
C: 2.4928 3.1407 -1.6762
C: 3.1404 4.3185 -2.0080
C: 2.9321 5.4674 -1.2552
C: 2.0760 5.4447 -0.1621
C: 1.4234 4.2734 0.1864
H: 2.6443 2.2272 -2.2365
H: 3.8128 4.3385 -2.8554
H: 3.4419 6.3845 -1.5195
H: 1.9170 6.3425 0.4206
H: 0.7541 4.2331 1.0354
C: -2.2387 -1.4040 0.4202
Si: -1.4836 0.2555 -0.1384
C: -1.9078 0.3898 -2.0174
C: -3.4216 0.4868 -2.2451
C: -1.4036 -0.8946 -2.6920
C: -1.2378 1.5675 -2.7318
C: -2.3536 1.6024 0.9423
C: -2.2441 2.9883 0.3039
C: -1.7046 1.6535 2.3315
C: -3.8425 1.2864 1.1493
H: -3.1294 -1.6348 -0.1679
H: -2.5492 -1.3843 1.4670
H: -1.5495 -2.2386 0.3030
H: -3.9732 -0.3387 -1.7906
H: -3.6285 0.4634 -3.3208
H: -3.8320 1.4214 -1.8612
H: -1.8662 -1.7948 -2.2799
H: -0.3192 -0.9910 -2.6008
H: -1.6384 -0.8661 -3.7614
H: -1.5540 2.5357 -2.3437
H: -1.4981 1.5387 -3.7960
H: -0.1503 1.5139 -2.6583
H: -1.2085 3.2632 0.0956
H: -2.6607 3.7434 0.9804
H: -2.8006 3.0483 -0.6315
H: -0.6230 1.8035 2.2797
H: -1.8958 0.7386 2.8998
H: -2.1372 2.4776 2.9096
H: -4.4082 1.2982 0.2188
H: -4.2848 2.0409 1.8095
H: -3.9967 0.3145 1.6208
Cl: -1.0306 -2.9127 4.4514
C: 0.3597 -2.4322 3.5474
C: 1.5863 -3.0398 3.7453
C: 2.6609 -2.5846 3.0010
C: 2.4645 -1.5838 2.0704
N: 1.2623 -1.0297 1.8536
C: 0.2336 -1.4276 2.6080
H: 1.6926 -3.8374 4.4674
H: 3.6448 -3.0135 3.1230
H: 3.2718 -1.2039 1.4623
H: -0.7069 -0.9293 2.4466

Forces on atoms 1 to 2 (eV/Å):
0.65 0.44 0.33
0.07 0.02 -0.05

Properties
- ΔE to the lowest compared entry with this formula, charge and spin (kcal/mol) = 12.6
- gap between HOMO and LUMO (spin up / spin down) (eV) = 7.079 / 7.080
- E_LUMO (spin up / spin down) (hartree) = -0.025 / -0.025
- E_HOMO (spin up / spin down) (eV) = -7.76 / -7.76


Entry 2:
Computed, not measured: 3 unconnected molecules or ions with the total composition CH5O4, with ωB97M-V/def2-TZVPD.

Element x y z (Å)
O: -1.3322 -1.8217 1.5199
C: -0.6670 -1.0709 0.7964
O: -0.8683 0.1077 0.4461
H: 0.2718 -1.5862 0.4165
H: -0.2688 -1.3915 -1.7349
H: -0.0555 -0.0835 -2.4037
O: 0.0528 -1.0318 -2.5514
H: 0.9667 2.7765 1.7416
H: 0.5990 1.7065 0.8186
O: 1.3015 2.3949 0.9508

Forces on atoms 1 to 2 (eV/Å):
-0.47 0.00 0.26
0.42 -0.91 0.24

Properties
- net charge = -1
- ΔE to the lowest compared entry with this formula, charge and spin (kcal/mol) = 13.3
- gap between HOMO and LUMO (eV) = 8.550
- E_LUMO (hartree) = 0.150
- E_HOMO (eV) = -4.47


Entry 3:
Computed, not measured: a molecular structure, C18H22N3O5V, with ωB97M-V/def2-TZVPD.

Element x y z (Å)
V: -0.1221 0.0145 0.1047
O: 0.3867 3.6459 -0.3768
C: -0.2173 2.6387 -0.1632
N: 0.0926 1.6308 0.7455
C: 0.4780 1.8164 2.0647
O: 1.0097 2.7641 2.5611
C: 0.0381 0.5712 2.7828
C: 0.1990 0.3810 4.1447
C: -0.2806 -0.8012 4.7035
C: -0.9441 -1.7029 3.8831
C: -1.0632 -1.4302 2.5261
N: -0.5569 -0.3297 1.9769
C: -1.4557 2.1667 -0.8805
C: -2.2361 2.9686 -1.6965
C: -3.4293 2.4529 -2.1946
C: -3.7968 1.1670 -1.8242
C: -2.9241 0.4043 -1.0541
N: -1.7654 0.8843 -0.6089
H: 0.6873 1.1433 4.7376
H: -0.1505 -1.0024 5.7554
H: -1.3732 -2.6090 4.2803
H: -1.5927 -2.1130 1.8671
H: -1.9130 3.9711 -1.9288
H: -4.0563 3.0493 -2.8429
H: -4.7478 0.7609 -2.1294
H: -3.1774 -0.6141 -0.7691
C: 1.6911 1.1199 -2.4644
O: 0.7236 0.2070 -1.9583
C: 0.5429 -0.9191 -2.8038
C: -0.4252 -1.8750 -2.0941
O: -0.2035 -1.8763 -0.6895
C: 0.8200 -2.7397 -0.2000
C: 2.1547 -2.0092 -0.0262
O: 1.8853 -0.7650 0.5981
C: 3.0666 -0.0177 0.8692
H: 1.3251 1.5821 -3.3857
H: 1.8507 1.8903 -1.7094
H: 2.6358 0.6072 -2.6809

Worked solution:
- ΔE to the lowest compared entry with this formula, charge and spin (kcal/mol) = 12.6
- ΔE to the lowest compared entry with this formula, charge and spin (kcal/mol) = 13.3